rescue could lead to the extinction of the company – O Jornal Economico


The Union of Civil Aviation Pilots (SPAC) warned this Sunday that the rescue guidelines, which structured the aid granted to TAP, are inadequate and will lead to the extinction of the aircraft carrier.

“TAP’s difficulties are not the result of its own situation. Result of the drastic change in the market derived from the pandemic [de covid-19], like all other companies in the sector ”, reads a memorandum from SPAC, sent to the parliamentary groups, to which Lusa had access.

Calculated crystals from another source follow >
Entry 1:
This entry pairs a crystal structure of FeTeCl2 with its simulated powder diffraction line list. Radiation: Cu Ka. Structure: a PBE-relaxed structure.
Intensities are scaled so that the largest is 1000.

Structure:
```
data_FeTeCl2
_chemical_formula_sum 'Fe1 Te1 Cl2'
_cell_length_a 6.7555
_cell_length_b 6.7555
_cell_length_c 6.7512
_cell_angle_alpha 113.92
_cell_angle_beta 113.92
_cell_angle_gamma 26.40
_space_group_name_H-M_alt 'P 1'
_space_group_IT_number 1
_space_group_name_Hall 'P 1'
loop_
_atom_site_label
_atom_site_fract_x
_atom_site_fract_y
_atom_site_fract_z
_atom_site_occupancy
Fe1 0.0000 0.0000 0.0000 1
Te1 0.3478 0.3478 0.6719 1
Cl1 0.4755 0.4755 0.2467 1
Cl2 0.6389 0.6389 0.0009 1
```

Peak list (10 most intense, 10 to 80 degrees two-theta, in order of rising 2θ)
d 6.138, 2θ 14.43, I 295
d 5.980, 2θ 14.81, I 441
d 5.606, 2θ 15.81, I 1000
d 3.599, 2θ 24.74, I 341
d 3.357, 2θ 26.56, I 255
d 3.279, 2θ 27.20, I 270
d 2.582, 2θ 34.74, I 264
d 2.440, 2θ 36.84, I 284
d 2.261, 2θ 39.86, I 270
d 2.001, 2θ 45.31, I 261

Entry 2:
This entry pairs a crystal structure of Th4FeCl5 with its simulated powder diffraction line list. Radiation: Cu Ka. Structure: a PBE-relaxed structure.
Intensities are scaled so that the largest is 1000.

Structure:
```
data_Th4FeCl5
_chemical_formula_sum 'Th4 Fe1 Cl5'
_cell_length_a 3.7352
_cell_length_b 8.6663
_cell_length_c 8.9879
_cell_angle_alpha 80.27
_cell_angle_beta 78.59
_cell_angle_gamma 88.54
_space_group_name_H-M_alt 'P 1'
_space_group_IT_number 1
_space_group_name_Hall 'P 1'
loop_
_atom_site_label
_atom_site_fract_x
_atom_site_fract_y
_atom_site_fract_z
_atom_site_occupancy
Th1 0.0128 0.2117 0.4949 1
Th2 0.3423 0.9481 0.8383 1
Th3 0.6577 0.0519 0.1617 1
Th4 0.9872 0.7883 0.5051 1
Fe1 0.5000 0.0000 0.5000 1
Cl1 0.1451 0.3126 0.1668 1
Cl2 0.1659 0.7852 0.1734 1
Cl3 0.5000 0.5000 0.5000 1
Cl4 0.8341 0.2148 0.8266 1
Cl5 0.8549 0.6874 0.8332 1
```

Peak list (10 most intense, 10 to 80 degrees two-theta, in order of rising 2θ)
d 8.686, 2θ 10.18, I 200
d 8.541, 2θ 10.36, I 1000
d 3.601, 2θ 24.72, I 169
d 3.159, 2θ 28.25, I 148
d 3.117, 2θ 28.64, I 143
d 2.895, 2θ 30.88, I 530
d 2.859, 2θ 31.29, I 292
d 2.791, 2θ 32.07, I 273
d 2.102, 2θ 43.02, I 127
d 1.971, 2θ 46.04, I 184

Entry 3:
This entry pairs a crystal structure of TiFe2Cl with its simulated powder diffraction line list. Radiation: Cu Ka. Structure: a PBE-relaxed structure.
Intensities are scaled so that the largest is 1000.

Structure:
```
data_TiFe2Cl
_chemical_formula_sum 'Ti1 Fe2 Cl1'
_cell_length_a 4.2604
_cell_length_b 4.2604
_cell_length_c 4.2604
_cell_angle_alpha 60.00
_cell_angle_beta 60.00
_cell_angle_gamma 60.00
_space_group_name_H-M_alt 'P 1'
_space_group_IT_number 1
_space_group_name_Hall 'P 1'
loop_
_atom_site_label
_atom_site_fract_x
_atom_site_fract_y
_atom_site_fract_z
_atom_site_occupancy
Ti1 0.0000 0.0000 0.0000 1
Fe1 0.2500 0.2500 0.2500 1
Fe2 0.7500 0.7500 0.7500 1
Cl1 0.5000 0.5000 0.5000 1
```

In June, the European Commission approved emergency aid to TAP, in accordance with salvage and restructuring (R&R) guidelines, based on the company’s classification as a company in difficulty.

In the document, SPAC recalled that, when the pandemic was declared, TAP worked normally, not allowing us to assume that the company, “without State intervention”, would be condemned “to disappear in the short or medium term”, according to the guidelines. R&R, which exist to prevent an uncompetitive company from being helped by the State, damaging the market.

These guidelines, as explained by the union structure, only allow the State to grant aid if companies take measures to resolve “the causes of their needs.”

Thus, taking into account that the condition of the carrier is derived from the market situation, the restructuring plan is not being drawn up “due to structural causes of the company that would have put it in difficulties and would have justified the aid,” the union considered. emphasizing that the “market scenario” was only chosen because there was no more time to deliver the plan.

For the union structure, the application of the guidelines will lead to the “extinction” of the company, making it less competitive, due to the reduction in scale and the erroneous characterization of its business model, leaving it still without financing, since the distribution of charges, which imposes losses on shareholders and creditors, as well as restrictions on state injections, “will make it almost impossible to find sources of financing.”

These data records were left in the entry by mistake >
- - -
Computed PXRD pattern
Compound: Ac2Tb5Ho12
Radiation: Cu Kα (λ = 1.5418 Å)
Structure: a cell relaxed with GGA-PBE
Lines closer than 0.1° are merged.

Most intense lines, 2θ from 10° to 80°, by intensity:
two_theta	Rel. int.	hkl
32.55	1000	2 0 2
31.31	878	2 0 -3
31.78	646	-1 2 2
32.18	614	1 2 -1
33.39	477	0 0 5
32.94	411	2 -2 1
30.23	270	1 -2 3
61.34	234	1 4 -5

Structural model:
```
19
Lattice="6.7844 0.0000 0.0000 -1.7456 6.9114 0.0000 -1.3698 -3.6203 13.4184" Properties=species:S:1:pos:R:3 pbc="T T T"
Ac 0.1576 1.1024 6.4374
Ac 3.5115 2.1888 6.9810
Tb -0.6043 4.6406 1.2483
Tb -0.6465 4.6116 6.4333
Tb 2.5194 3.4557 0.0000
Tb 4.3155 -1.3205 6.9850
Tb 4.2733 -1.3495 12.1701
Ho -0.4838 -2.5586 9.5640
Ho -1.2814 0.9124 9.8355
Ho 0.6093 1.0500 1.4812
Ho -0.5233 3.2596 12.1593
Ho 1.5865 3.4300 3.8179
Ho 2.5204 -0.1289 4.1065
Ho 1.1486 3.4200 9.3119
Ho 2.0825 -0.1389 9.6004
Ho 4.1923 0.0315 1.2591
Ho 3.0597 2.2411 11.9372
Ho 4.9504 2.3787 3.5829
Ho 4.1528 5.8497 3.8544
```

~~~~~

Starting from a structure optimized by DFT (PBE), the powder diffraction line list of P was simulated for Cu Kα (weighted mean of Kα1 and Kα2).

Crystal structure
```
data_P
_cell_length_a 3.2605
_cell_length_b 10.2211
_cell_length_c 8.9397
_cell_angle_alpha 90.00
_cell_angle_beta 90.00
_cell_angle_gamma 90.00
_symmetry_space_group_name_H-M 'A m m 2'
_symmetry_Int_Tables_number 38
_symmetry_space_group_name_Hall 'A 2 -2'
loop_
_atom_site_label
_atom_site_type_symbol
_atom_site_fract_x
_atom_site_fract_y
_atom_site_fract_z
P1 P 0.0000 0.0000 0.0000
P2 P 0.0000 0.1153 0.4668
P3 P 0.5000 0.0000 0.1570
P4 P 0.5000 0.1724 0.3136
```

Top 10 peaks for 2θ from 10° to 90°, low angle first:
| Position (°2θ) | I/Imax |
| --- | --- |
| 13.16 | 100 |
| 19.86 | 13 |
| 26.49 | 21 |
| 28.03 | 46 |
| 30.46 | 13 |
| 34.03 | 42 |
| 38.45 | 11 |
| 49.31 | 31 |
| 49.44 | 11 |
| 53.92 | 12 |

=====

Starting from a structure optimized by DFT (PBE), the powder diffraction line list of K3Ba7Ti10O27F3 was simulated for Cu Kα (weighted mean of Kα1 and Kα2).

Crystal structure
```
data_K3Ba7Ti10O27F3
_cell_length_a 3.9918
_cell_length_b 3.9918
_cell_length_c 40.8739
_cell_angle_alpha 90.00
_cell_angle_beta 90.00
_cell_angle_gamma 90.00
_symmetry_space_group_name_H-M 'P 4 m m'
_symmetry_Int_Tables_number 99
_symmetry_space_group_name_Hall 'P 4 -2'
loop_
_atom_site_label
_atom_site_type_symbol
_atom_site_fract_x
_atom_site_fract_y
_atom_site_fract_z
K1 K 0.0000 0.0000 0.0000
K2 K 0.0000 0.0000 0.0987
K3 K 0.0000 0.0000 0.7985
Ba1 Ba 0.0000 0.0000 0.1992
Ba2 Ba 0.0000 0.0000 0.2997
Ba3 Ba 0.0000 0.0000 0.3994
Ba4 Ba 0.0000 0.0000 0.4990
Ba5 Ba 0.0000 0.0000 0.5986
Ba6 Ba 0.0000 0.0000 0.6991
Ba7 Ba 0.0000 0.0000 0.8987
Ti1 Ti 0.5000 0.5000 0.0495
Ti2 Ti 0.5000 0.5000 0.1527
Ti3 Ti 0.5000 0.5000 0.2506
Ti4 Ti 0.5000 0.5000 0.3498
Ti5 Ti 0.5000 0.5000 0.4492
Ti6 Ti 0.5000 0.5000 0.5486
Ti7 Ti 0.5000 0.5000 0.6478
Ti8 Ti 0.5000 0.5000 0.7458
Ti9 Ti 0.5000 0.5000 0.8504
Ti10 Ti 0.5000 0.5000 0.9466
- - -

In the memorandum delivered to the parliamentary groups, the union argued that the solution now involves designing and granting aid to TAP to “repair the damage caused by extraordinary events”, taking into account that the covid-19 pandemic “is without doubt an extraordinary fact ”. .

-- Records of crystals from another source follow --
- - -
1.
# YZn11
Calculated powder diffractogram, Cu Kα (λ = 1.5418 Å). Input: a GGA-PBE-relaxed structure.
No peak broadening, texture or thermal motion is included.

Structure:
Cell: 8.212 8.212 8.212 Å, 99.99 99.99 130.78°
Sites, in units of the cell vectors:
Y 0.375 0.625 0.750
Y 0.625 0.375 0.250
Zn 0.000 0.000 0.000
Zn 0.000 0.000 0.500
Zn 0.000 0.500 0.000
Zn 0.125 0.875 0.250
Zn 0.130 0.554 0.334
Zn 0.130 0.797 0.576
Zn 0.203 0.280 0.334
Zn 0.203 0.870 0.924
Zn 0.280 0.203 0.834
Zn 0.280 0.446 0.076
Zn 0.446 0.280 0.576
Zn 0.446 0.870 0.166
Zn 0.500 0.000 0.500
Zn 0.554 0.130 0.834
Zn 0.554 0.720 0.424
Zn 0.720 0.554 0.924
Zn 0.720 0.797 0.166
Zn 0.797 0.130 0.076
Zn 0.797 0.720 0.666
Zn 0.870 0.203 0.424
Zn 0.870 0.446 0.666
Zn 0.875 0.125 0.750

Top 8 peaks for 10° ≤ 2θ ≤ 90°, by intensity:
- 37.65°, 2.389 Å, rel. 100
- 44.92°, 2.018 Å, rel. 92
- 38.12°, 2.361 Å, rel. 74
- 46.76°, 1.943 Å, rel. 39
- 33.28°, 2.692 Å, rel. 36
- 40.48°, 2.228 Å, rel. 34
- 44.11°, 2.053 Å, rel. 31
- 68.58°, 1.368 Å, rel. 31

2.
# CdSiTeMoHW
Calculated powder diffractogram, Cu Kα (λ = 1.5418 Å). Input: a GGA-PBE-relaxed structure.
No peak broadening, texture or thermal motion is included.

Structure:
Cell: 3.219 3.243 9.568 Å, 90.00 90.00 90.00°
Sites, in units of the cell vectors:
Cd 0.000 0.000 0.000
Si 0.500 0.000 0.615
Te 0.500 0.000 0.283
Mo 0.000 0.500 0.462
H 0.500 0.500 0.848
W 0.000 0.500 0.746

Top 8 peaks for 10° ≤ 2θ ≤ 90°, by intensity:
- 29.07°, 3.072 Å, rel. 100
- 39.63°, 2.274 Å, rel. 93
- 29.27°, 3.051 Å, rel. 72
- 43.92°, 2.062 Å, rel. 71
- 39.79°, 2.266 Å, rel. 62
- 40.60°, 2.222 Å, rel. 60
- 39.44°, 2.285 Å, rel. 46
- 37.60°, 2.392 Å, rel. 43
- - -
-- Here the entry continues --

SPAC also assured that this “may be a restructuring plan with reasonable market assumptions, minimally stabilized” and structured by the government, obeying “national interests and market requirements.”

According to the structure, the plan should also be able to identify long-term sources of financing, without “unrealistic” equilibrium conditions, which do not apply to other companies.

“In order not to violate the obligations assumed by the Portuguese State, a support measure must be designed […] provide the company with financial means to reimburse aid already granted. This reimbursement would definitively end the application of the R&R guidelines and would allow an additional period to have a more stable idea of ​​the future evolution of the markets and adjust the plan to those needs ”, he concluded.

TAP’s restructuring plan must be presented to the European Commission before December 10, being a requirement of the European Commission for the granting of a state loan of up to 1,200 million euros, to face the difficulties of the company derived from the impact. avid-19 pandemic in the aviation sector.
